Black Richard's Heart (The MacCulloughs #1) - Suzan Tisdale Page 0,143

she heard a woman’s laughter flittering in on it, chilling her to the bone. It sounded dark and forbidding, almost ominous. Immediately, she shoved the thought aside, believing ’twas just the sound of a woman’s voice coming from within the keep. Ye are simply tired, she told herself.

For a long while, she looked out at the darkness, her mind conjuring up images of her husband being tortured, of poor Colyne being terrified. Nay, Colyne would be spitting mad, if she knew the lad at all. She sent a prayer heavenward, asking God to not only keep them safe, but for Colyne to hold his tongue and temper.

She heard Marisse’s soft footfalls coming her way, and by the sound of the other footfalls, Keevah was with her.

“Aeschene,” Marisse whispered. “How on earth did ye get up here?”

“Lachlan?” she called to him.

“Aye, m’lady,” he said as he stepped from the shadows.

Marisse and Keevah breathed a sigh of relief when they realized she hadn’t traversed the ladder and dangerous parapet by herself.

“I am in good hands now. Ye can leave me.”

“Dunnae fash yerself,” Marisse told him. “We’ll nae leave her alone.”

Lachlan bid them all good eve, and stepped away, leaving the three women alone to talk.

“What are ye doin’?” Keevah asked, pulling her cloak tightly around her chin. The night air was damp and chilly, the wind gusting all around them.

“Thinkin’,” Aeschene replied.

“Och! That is never good,” Marisse jested.

Aeschene smiled wanly, knowing her friend was merely attempting to make her feel better. “They’re out there, somewhere,” she told them. “My heart believes they are still alive. I refuse to think otherwise.”

She heard Marisse sniffle ever so slightly. “What hell they must be enduring’ right now,” her voice cracked as she fought against tears that wanted desperately to fall.

Aeschene and Keevah each wrapped an arm around her. “Richard and Rory are verra smart men,” Keevah said. “Why, I imagine they are planning’ their escape at this very moment.”

Aeschene was fighting to hold on to her own tears. “I pray ye are right.”

Richard believed he was getting a glimpse into what his wife’s life must be like on a daily basis. His eyes were swollen shut from the beating he’d received on their first night here; he couldn’t see a thing. His jaw still ached from the repeated blows from the guards. Past experience told him he very likely had at least two broken ribs from being kicked repeatedly. Breathing was beyond painful, ’twas damned near impossible.

== The text is interrupted by crystal structures ==
(1)
First-principles (r2SCAN) data for crystalline BaAs2F12 at its relaxed geometry, as listed in Materials Project.

```
BaAs2F12
1.0
-5.6372 6.8323 4.7953
-5.3573 1.4761 -8.4009
-6.4012 -7.2522 2.8078
Ba As F
4 8 48
Cartesian
-2.8186 3.4162 2.3977
-2.6786 0.7380 -4.2004
-3.2006 -3.6261 1.4039
0.0000 0.0000 0.0000
-4.3489 0.2641 -0.1994
-9.8462 4.4183 -2.0022
-10.3681 0.0541 3.6022
-10.2282 -2.6240 -2.9960
-13.0468 0.7922 -0.5983
-7.5495 -3.3621 1.2045
-7.0276 1.0021 -4.3999
-7.1675 3.6802 2.1982
-3.3366 -1.0933 0.3730
-11.4857 5.0649 -2.2995
-10.0883 1.0554 5.0560
-3.2070 1.2954 0.7100
-9.8808 -2.9147 -4.7250
-11.9224 -2.9859 -3.4355
-9.4441 5.1361 -3.5889
-10.2179 -1.3333 4.7190
-3.1596 0.3870 -1.5280
-10.0578 -4.3949 -2.8240
-9.4915 6.0445 -1.3509
-12.0825 0.0758 4.1075
-9.1862 -2.9279 0.9935
-12.2601 -0.6050 -0.0145
-6.7117 3.5714 0.5575
-8.8376 3.4972 1.9002
-6.6334 2.0738 -3.1320
-12.1252 1.8823 0.3365
-6.7684 -0.4134 -3.4830
-7.0602 -2.8537 -0.3491
-8.7099 1.0538 -4.1197
-7.1097 -1.9078 1.9813
-6.8961 2.0300 2.5369
-12.0757 0.9364 -1.9939
-5.9100 -4.0087 1.5018
-14.0591 2.1495 -1.1707
-7.5149 3.9709 3.9273
-5.4733 4.0421 2.6378
-7.3074 0.0008 -5.8538
-14.1887 -0.2392 -1.5078
-7.1779 2.3895 -5.5167
-7.9516 -4.0799 2.7912
-5.3132 0.9804 -4.9052
-7.9042 -4.9883 0.5532
-7.3379 5.4511 2.0263
-14.2361 0.6692 0.7303
-5.1356 1.6612 -0.7832
-8.2095 3.9841 -1.7913
-10.7623 -1.0176 2.3343
-5.2705 -0.8261 -1.1342
-10.6840 -2.5152 -1.3552
-8.5581 -2.4410 -2.6979
-10.3355 3.9099 -0.4486
-10.6273 1.4696 2.6852
-5.3200 0.1198 1.1962
-10.4996 -0.9738 -3.3347
-10.2860 2.9640 -2.7790
-8.6858 0.0024 3.3220
```

Results
Total energy in eV per atom: -8.85
Formation energy from the elements in meV/atom: -2626

(2)
First-principles (r2SCAN) data for crystalline BaFe2As2 at its relaxed geometry, as listed in Materials Project.

```
BaFe2As2
1.0
0.6517 0.7460 -3.8099
-0.2867 -3.8434 -0.8016
-6.4025 2.2077 1.3708
Ba Fe As
1 2 2
Cartesian
0.0000 0.0000 0.0000
-3.2534 -1.5922 -0.8682
-2.7842 0.7025 -2.3724
-4.2730 0.4527 -0.6423
-1.7645 -1.3425 -2.5984
```

Results
Total energy in eV per atom: -17.35
Formation energy from the elements in meV/atom: -401

(3)
First-principles (r2SCAN) data for crystalline BaFe2As2 at its relaxed geometry, as listed in Materials Project.

```
BaFe2As2
1.0
0.0000 0.0000 5.6036
6.5967 2.9320 0.0000
0.0024 5.8587 0.0000
Ba Fe As
2 4 4
Cartesian
0.0024 5.8587 0.0000
6.5978 5.8614 2.8019
3.2983 1.4660 1.4011
3.3007 7.3247 4.2025
3.2995 4.3953 4.2029
3.2995 4.3954 1.4008
4.6683 2.9314 2.8017
4.6694 5.8605 5.6035
1.9296 2.9302 5.6035
1.9307 5.8593 2.8017
```

Results
Total energy in eV per atom: -17.60
Formation energy from the elements in meV/atom: -652

(4)
First-principles (r2SCAN) data for crystalline Ba7Ga4As9 at its relaxed geometry, as listed in Materials Project.

```
Ba7Ga4As9
1.0
6.8654 0.0000 0.0000
0.0000 10.2454 0.0000
0.0000 0.0000 17.1893
Ba Ga As
14 8 18
Cartesian
3.0973 5.1227 13.4724
3.0973 5.1227 3.7169
== Here the text continues ==

They were in the bowels of Randall Chisolm’s keep, in his dungeon. The air was frigid and dank, and even after three days here, he still wasn’t used to the smell. It reeked of piss, feces, and vomit with slight undertones of decay, despondency, and death.

“Richard, I am so c-cold,” Colyne said through chattering teeth.

They were huddled together in a corner of one of the cells, with Colyne pressed in between he and Rory. If they didn’t die from a beating, they’d certainly freeze to death.

“Put yer hands under yer arms,” Rory whispered a ragged breath. He hadn’t been spared any beatings and looked just as bad as Richard.

He did as Rory instructed but it offered very little relief. “I am goin’ to kill Randall Chisolm and his men,” Colyne whispered. “I hate those bloody bastards.”

Rory grunted his approval. Richard chuckled at the boy’s tenacity, which sent a bolt of pain from his chest to his back, radiating down his left leg. “I look forward to that day,” he said with a grimace.

Torch light glowed in the distance, the sound of heavy booted feet scraping across the stone floor. At least one of the guards were headed towards them.

“Quiet down,” the guard ordered, banging the keys against the heavy steel bars.

Richard would have given the man every last coin to his name if he would give him the torch just long enough to warm up his brother.

“’Tis freezin’ in here,” Colyne said, his tone stern and biting. “Can we have a blanket?”

The guard apparently found the request hilarious. He threw his head back and laughed.

“David will nae like how ye have treated us,” Colyne told him.

“David who?”

“King David,” Colyne replied. “He was on his way to our keep when ye took us. When he finds out what ye have done, and yer poor treatment of us, ye will regret it.”

“Ye lie,” the man said with a good measure of disbelief.

Colyne shook his head in dismay. “Were I ye, I dunnae think I would be willing’ to take that chance. Copyright 2016 - 2024